I'm 19 and a little lost.
What's your best advice on life?
Tell me anything- about people you've lost, time you wasted, regrets, marriage? Do you wish you could go back? Do you ever think of chances that you let slip through your fingers when you were younger? Tell me anything...Anyone, especially adults, give me your best life advice. I'm 19 and feel lost.?
Compare to 19 , I am very old. I lived through WW II in Germany as a child, I could tell you stories about my childhood in war and postwar Germany that are horrific. How can a Child change where it is born? I wish I had been any other place in the world during this time. I am married to the same man for 44 years, I don't regret that. I regret having raised my children to become selfish and egoistical people, i was to permissive, Wanted to be a better parent then my parents were. It back fired big time. I regret not having finished College, I only need 9 units to graduate.
I moved from a Metropolitan area to a rural area, city has a population of 164, I missed California and the ocean daily, until 9/11 happened, then I was glad I lived in nowhere county. I regret not taking better care of my health, when i was young, I had untreated high blood pressure as a younger person, just ignored it. The best advice on life I can give you, take care of your health while you are young, dont smoke or drink and watch what you eat. You will be a healthy and happy old person, when the time comes. Get your blood pressure checked and follow your Physicians advice he knows what he is doing. Dont ride a motorcycle, having an accident on a motorcycle, even if you wear
a helmet, has devastating results, i know, been there done that. Be kind to yourself and others and dont take any chances, the world has become a dangerous place to live in. But there is hope for a good future, finish your education, avoid negative people, they will bring you down. Write something positiv about yourself every morning and believe that you are a good person and that you will succeed, if not at the first try, dont give up, try again. You can do anything. I wish you, that all your dreams come true and you have a wonderful life. Don';t ever give up, hope is lifes engine.Anyone, especially adults, give me your best life advice. I'm 19 and feel lost.?
Never regret about anything, don't waste your precious time!
Life is short ,and this you will come to realize when your life becomes busy and it will.Set a course, what are you good at if nothing get good at something ,be special at it,enjoy doing it,do it with your heart the rewards are
never ending,Remember one thing is for certain ,the world
can be a cold,lonely and unforgiving place nothing is free
not even the word there is always a catch if it's to good to be true it probably isn't.Stay home for as long as you need ,get your career and persue your goals live your life
to the fullest no one can stop you %26gt;%26gt; only you.
Take time to consider what you really want to do in your life be that a career or a vocation. It's easier to educate yourself in your youth than it is to do it in 15 years when you are married or having kids. I am not saying it's impossible, but it's hard.
Enjoy yourself. If I had it to do over, I might have skipped a class on the first nice day in Spring or found out what it was like to be late on a paper.
If you love someone, do get all freaked out about the future. Enjoy the now, and if you can't imagine your life without that person (and you feel that way for awhile) by all means commit.
Travel young. Honestly, kids are wonderful but they do limit your travels. So enjoy that now, and then you will be ready to put down roots.
Live everyday like its your last........Go with your gut instincts.....Never waste your time on regrets....everything happens for a reason. Smile as much as you can........Spend time with friends and make time always for family. Bring a camera with you everywhere, take memories with you wherever you go.
Go with your heart.......it knows you better than you know yourself
have some faith
Everything that happens in a life is meant to be used as a guide.
The pleasent things, we remember in detail, how the air smelled, what the day was like, who we were with and it brings a smile to our faces. These memories should be in detail so we can be happy in times when we are not.
The bad things that happen to us should not be remembered in detail, but should not be forgotten either.
When we find ourselves in a similar situation, we can draw on those memories to guide us out of a bad place.
We remember that a thing like this happened before and because we reacted in a certain way, we got out of it with little or no harm, so we will do that again. Or, it happened before and we reacted in a way that caused more pain and loss than it should have, so we WONT react like that again.
So dont dwell on the negitive aspects of your life, but dont forget them either, avoid the people or situations that cause you pain and embrace the peolpe and situations that bring you happiness and joy.
*You have nothing but time; time allows you to do whatever you wanna do. Live, sweetie, live! That's what life is about; go do anything and everything you want to do, don't let anyone or anything stop you.
*I've never wasted a moment in my life and I'm not about to!
*There are no regrets in life, especially when you learned from your mistakes.
*Marry someone you consider as yourself; be righteously selfish to this person - embrace him for who he is and the way he embrace other human beings. Love this man because of these things and have him love you because of these things; making each of you ONE.
*I would never want to come back because I've learned from what has happened to me; going back would only be going to hell!
-- These materials data were left in the page by mistake --
<<<
1.
Diffraction record for Nb3Ir2. The PXRD pattern is simulated, not measured: it uses a cell relaxed with PBE and Cu Kα, 1.54184 Å.
Intensities are scaled so that the largest is 100.

Main lines, in order of rising 2θ (10 to 90 degrees two-theta):
19.5 deg, intensity 33.9, (1 1 1); 35.1 deg, intensity 25.7, (0 0 2); 37.4 deg, intensity 83.4, (5 3 0); 38.6 deg, intensity 31.8, (6 0 0); 39.7 deg, intensity 21.5, (2 2 2); 40.8 deg, intensity 74.4, (1 3 2); 41.5 deg, intensity 100.0, (3 5 1); 42.6 deg, intensity 60.4, (0 6 1); 45.8 deg, intensity 19.1, (4 2 2); 67.4 deg, intensity 23.4, (3 5 3)

Structural model:
```
data_Nb3Ir2
_chemical_formula_sum 'Nb36 Ir24'
_cell_length_a 13.997
_cell_length_b 14.025
_cell_length_c 5.111
_cell_angle_alpha 90.00
_cell_angle_beta 90.00
_cell_angle_gamma 90.00
_symmetry_space_group_name_H-M 'C m m 2'
_symmetry_Int_Tables_number 35
loop_
_symmetry_equiv_pos_as_xyz
'x,y,z'
'-x,-y,z'
'-x,y,z'
'x,-y,z'
'x+1/2,y+1/2,z'
'-x+1/2,-y+1/2,z'
'-x+1/2,y+1/2,z'
'x+1/2,-y+1/2,z'
loop_
_atom_site_label
_atom_site_fract_x
_atom_site_fract_y
_atom_site_fract_z
Nb1 0.000 0.107 0.000
Nb2 0.000 0.324 0.747
Nb3 0.104 0.500 0.489
Nb4 0.166 0.207 0.999
Nb5 0.178 0.000 0.245
Nb6 0.180 0.000 0.751
Nb7 0.203 0.332 0.494
Ir1 0.000 0.000 0.501
Ir2 0.000 0.319 0.249
Ir3 0.000 0.500 0.982
Ir4 0.096 0.168 0.501
Ir5 0.166 0.403 0.998
```



2.
Diffraction record for Nb5Ir7. The PXRD pattern is simulated, not measured: it uses a cell relaxed with PBE and Cu Kα, 1.54184 Å.
Intensities are scaled so that the largest is 100.

Main lines, in order of rising 2θ (10 to 90 degrees two-theta):
37.5 deg, intensity 21.5, (0 1 2); 39.0 deg, intensity 66.5, (1 2 1); 39.2 deg, intensity 100.0, (0 6 0); 41.8 deg, intensity 82.8, (1 3 1); 42.0 deg, intensity 18.0, (0 3 2); 45.4 deg, intensity 44.9, (1 4 1); 45.6 deg, intensity 25.4, (0 4 2); 66.4 deg, intensity 31.6, (1 0 3); 79.4 deg, intensity 25.9, (2 6 0); 79.9 deg, intensity 34.2, (1 6 3)

Structural model:
```
data_Nb5Ir7
_chemical_formula_sum 'Nb5 Ir7'
_cell_length_a 2.838
_cell_length_b 13.794
_cell_length_c 4.865
_cell_angle_alpha 90.00
_cell_angle_beta 90.00
_cell_angle_gamma 90.00
_symmetry_space_group_name_H-M 'P m m 2'
_symmetry_Int_Tables_number 25
loop_
_symmetry_equiv_pos_as_xyz
'x,y,z'
'-x,-y,z'
'-x,y,z'
'x,-y,z'
loop_
_atom_site_label
_atom_site_fract_x
_atom_site_fract_y
_atom_site_fract_z
Nb1 0.000 0.000 0.000
Nb2 0.000 0.166 0.626
Nb3 0.000 0.340 0.269
Ir1 0.000 0.500 0.937
Ir2 0.500 0.000 0.491
Ir3 0.500 0.170 0.130
Ir4 0.500 0.337 0.781
Ir5 0.500 0.500 0.450
```
>>>
-- Back to the page --
*When I was younger I used to dawn on what could have, should have, or what would have but that's useless thinking, I know now. You learn, live, and forget!
== These calculated crystals were left in the page by mistake ==
Record 1
Calculated powder XRD pattern
Compound: Br
Radiation: λ = 1.5418 Å (Cu Kα)
Structure: a DFT-relaxed cell (PBE, Alexandria)

Structural model:
```
data_Br
_chemical_formula_sum 'Br8'
_symmetry_space_group_name_H-M 'P b c m'
_symmetry_Int_Tables_number 57
_symmetry_space_group_name_Hall '-P 2c 2b'
_cell_length_a 5.1174
_cell_length_b 8.1903
_cell_length_c 8.4071
_cell_angle_alpha 90.00
_cell_angle_beta 90.00
_cell_angle_gamma 90.00
loop_
_atom_site_label
_atom_site_fract_x
_atom_site_fract_y
_atom_site_fract_z
Br1 0.0008 0.1242 0.2500
Br2 0.3007 0.6258 0.7500
```

The 6 most intense peaks (10° ≤ 2θ ≤ 90°), low angle first:
21.14°, rel. 100, (0 0 2); 23.06°, rel. 36, (1 1 1); 29.90°, rel. 71, (1 2 1); 42.90°, rel. 29, (1 2 3); 43.05°, rel. 63, (0 0 4); 53.40°, rel. 25, (2 2 3)

=====

Record 2
Calculated powder XRD pattern
Compound: Na4HfSe4
Radiation: λ = 1.5418 Å (Cu Kα)
Structure: a DFT-relaxed cell (PBE, Alexandria)

Structural model:
```
data_Na4HfSe4
_chemical_formula_sum 'Na8 Hf2 Se8'
_symmetry_space_group_name_H-M 'I -4 2 m'
_symmetry_Int_Tables_number 121
_symmetry_space_group_name_Hall 'I -4 2'
_cell_length_a 6.9682
_cell_length_b 6.9682
_cell_length_c 12.3318
_cell_angle_alpha 90.00
_cell_angle_beta 90.00
_cell_angle_gamma 90.00
loop_
_atom_site_label
_atom_site_fract_x
_atom_site_fract_y
_atom_site_fract_z
Na1 0.0000 0.0000 0.2079
Na2 0.0000 0.5000 0.0000
Hf1 0.0000 0.0000 0.5000
Se1 0.2093 0.2093 0.6189
```

The 6 most intense peaks (10° ≤ 2θ ≤ 90°), low angle first:
14.60°, rel. 100, (1 0 1); 18.00°, rel. 24, (1 1 0); 23.11°, rel. 69, (1 1 2); 36.17°, rel. 35, (2 1 3); 36.47°, rel. 29, (2 2 0); 39.01°, rel. 49, (2 0 4)

=====

Record 3
Calculated powder XRD pattern
Compound: Li4CdGe
Radiation: λ = 1.5418 Å (Cu Kα)
Structure: a DFT-relaxed cell (PBE, Alexandria)

Structural model:
```
data_Li4CdGe
_chemical_formula_sum 'Li4 Cd1 Ge1'
_symmetry_space_group_name_H-M 'P 6/m m m'
_symmetry_Int_Tables_number 191
_symmetry_space_group_name_Hall '-P 6 2'
_cell_length_a 4.4743
_cell_length_b 4.4743
_cell_length_c 5.5902
_cell_angle_alpha 90.00
_cell_angle_beta 90.00
_cell_angle_gamma 120.00
loop_
_atom_site_label
_atom_site_fract_x
_atom_site_fract_y
_atom_site_fract_z
Li1 0.3333 0.6667 0.2253
Cd1 0.0000 0.0000 0.5000
Ge1 0.0000 0.0000 0.0000
```

The 6 most intense peaks (10° ≤ 2θ ≤ 90°), low angle first:
22.95°, rel. 100, (1 0 0); 39.76°, rel. 58, (1 0 2); 40.31°, rel. 31, (1 1 0); 52.38°, rel. 19, (1 1 2); 57.91°, rel. 19, (2 0 2); 72.92°, rel. 18, (2 1 2)

=====

Record 4
Calculated powder XRD pattern
Compound: CoNi3Se6
Radiation: λ = 1.5418 Å (Cu Kα)
Structure: a DFT-relaxed cell (PBE, Alexandria)

Structural model:
```
data_CoNi3Se6
_chemical_formula_sum 'Co3 Ni9 Se18'
_symmetry_space_group_name_H-M 'R 3'
_symmetry_Int_Tables_number 146
_symmetry_space_group_name_Hall 'R 3'
_cell_length_a 6.1563
_cell_length_b 6.1563
_cell_length_c 15.8941
_cell_angle_alpha 90.00
_cell_angle_beta 90.00
_cell_angle_gamma 120.00
loop_
*I've lost my father to lung cancer in 2000; I never knew my father smoked up until he exposed to us, his family that he had cancer. He was sick in front of us until he grew weaker when he had to be reduced to his bedroom in a hospital bed.
We all tend to feel like that at some time or other natural can`t do much about it now just get on with life learn by mistakes %26amp; think before acting in the same way if you are faced with a similar situation.
People throw hurtful words around without thinking. Don't let words ruin your day, your week, your life. Don't waste time on negative people. I have held on to negative people because they seemed like my friend, but their cutting words kept me from being happy. You are responsible for your own happiness and part of that responsibility, in my opinion, is weeding out those people who are bad for you.
Let me tell you that you are at the perfect age to feel the way you are feeling, be in gratitude for that feeling as it is telling you that you have yet to find your hearts pathways to your destiny and beyond.
I would say you are lucky you are feeling lost as knowing that you are lost is half the job done, because only then you will ever think of picking up a guide book or map in life, so consider you are half way through to your destiny. It is also a sign that you are not willing go along the herd and instead choosing to wait for your life's path to show up for you, so good luck there!
When you know that you are lost will you ever try to find your true path, the path of your heart, otherwise so many young people who are too sure of themselves and forget that best journeys are those in which we get lost a thousand times and still be willing to explore out of the little boxes we call human existence.
Life's path opens up its intimate treasures only for those who are willing to wait for the right path to open up to them. So hang in there my friend allow life to guide you to your destiny, best things come to you when you surrender to flow with the belief that you are special and your well being destiny is of greatest concern for the entire universe.
And know that you are not lost; you are just busy finding your way out here, as we all are, no matter what age we are at, as life is always opening up new pathways for those who are willing to traverse its pathway of love and light, with humility and with grace.
So make sure you stay not only humble and open, willing and ready to make that leap of faith when life shows you that little glimmer of hope for your future, through a tiny sparkle of inspiration in your heart.
Till then simply pay attention to your own hearts callings, and be prepared to follow your bliss as that itself is life鈥檚 ultimate destiny and should be career path too.
When I was about 48 I got up one morning and realized that I had more years behind me than ahead of me.
I also realized that I had wasted a generous portion of my life.
I had dreams as a young man that only turned into the nightmares of my later years.
Places I wanted to go things I wanted to do.
I made more mistakes than I care to admit, but I believe the biggest one was listening to other people concerning what I should do with my life. Their interest was in areas where money was good.
Now Money is a very handy thing to have but there is a lot to be said for contentment and fulfillment.
I was working in areas that held no real interest for me.
I wasn't doing the things I needed to do to answer that man deep inside.
I had become what others wanted, not what I wanted.
Now I'm trapped by age and responsibilities.
I know this may not help, but if you think about it a little perhaps you will find something helpful.
Always do the best you can, be productive, grieve when you need to but always have a project.
Just be yourself. Once you know who you are and what you want out of life, things get easier.
The best advice I can give you is to get a good education and decide for yourself what is right. A good education doesn't necessarily mean more school, it can come from travel or reading or just trying a variety of experiences.
I've made plenty of mistakes but I have few regrets. People who are not afraid of making mistakes tend to learn the most. Just make sure that if your going to make a mistake that its not life-threatening to you or anyone else.
You have to find out for yourself what gives your life meaning. There's lots of people who are willing to tell you but most often they are doing it for themselves and just trying to control you for their own purposes.
I'm 43 and I'm still not sure what I want to do when I grow up but at least I've had many many interesting life experiences.
Nothing ever goes waste ! The regrets about waste etc are very relative, though the experience is very real. Live fully, every moment here and now, and maintain it always. The rest is taken care of, always.
There are many times in your life when you feel that you have come to the end of everything.
You will feel that all your pleasure, happiness, and joy, are at an end, and all you have ahead of you are dry bones, as everything has gone stale.
But that is simply a transition from one stage of life to another.
One you emerge from that dark night, you will have gained a new level of maturity, and find new pleasure, happiness, and joy in life, on a new level.
i lost my dad and wasted countless amount of time going back and forth emotionally. at some point i wished i can just rewind and go through it again differently, but there's a reason to everything that happened to me. i may never learn the lesson that i'm supposed to learn if i really do go back in time.
I'm 24 but feel about 11 inside. Do I count as an adult? In some respects I hope not. My advice would be this; fill up your days. Do as much with your short spell on earth as you can. Cos even if you live past your centenary- that's not long in the scheme of things. Read, write, paint, discover, feel, see. Waste not a second. We are here for a short visit only before we pop off into oblivion forever.
The most sound advice I can give you is:1.Save as much money as you can for buying a house.
2.Invest as soon as you can in real estate.It it the biggest investment you will ever make!
3.Treat people how you want to be treated,but don't expect them to return the favor.
4.Make absolutely sure you want to be with someone the rest of your life before you marry.
5.Go to church on Sunday with an open mind. I hope this helps you at least a little bit.Never let unkind words rule your life.Good luck,GibbyGuy@netzero.net.
At this age of life one receives an urge to know GOD. PRAY that GOD will send you a teacher. in this changing of ages, he or she will probably be a spiritual teacher. you will know God sent them. SEE, Swami Muktananda Paramahamsa and www.stephen-knapp.com/articles_to_read.h鈥? Stay in the ';NOW'; don't look back.
Don't worry, Be Happy
i think everyone has felt lost in thier lives. I've had a difficult life, but no regrets, what choices i made in the past (and mistakes) have made me who i am today. Don't regret....just learn and grow.
keep on struggle, never give up!!! dont forget that u r strong enough to face ur fears unsuccesfulness etc...just keep on belivin' you and your inner power. u r the unique one! u must know your price too...when u realize these issues u can save yourself from dark ;)